Instant Relevant Web Site Content - No Its Not a Bot
In about the Time it takes to Watch a Reality TV Show (About 1 Hour) I added 10 Pages of Relevant Content to my Web Page without a Bot.
Adding content to your Page Fast is Easy with the Use of Free Articles you Can Reprint. The Advantages of using Reprinted Articles
1. Dynamic Relevant Content Fast (Search Engines Love Content)
2. Reciprocal Links To You (See Step 6 Thank the Author)
3. Great Way to Promote an On or Off Line Business
4. People Friendly Content
5. Well Written Professional Content
1 - What Do You Want to Promote
The First thing you need to Do is Decide what you Want to
Promote. In this Example we are Promoting a Pre Launch of a
Home Based Business Web Site that will allow you to earn
Multiple Streams of Income and at the Same Time be entered
to win a $200,000 Dream Home over and over again.
2- Find a Reprintable Article
Do A Google Search on your Topic in this Case "Home
Improvement Articles". Most Places that accept Article
Submissions have free Reprint Articles. Or you can Refer to
an Article Submission Directory.
3- Use Your Template
Create an Article Template or Find one one the Web. Now
Just Cut and Past the Article into your Template. Don't
Forget to add your Promotional Material to your Template.
Be Sure and have a Resource Box or Related Content Box in
your Template with Links to what you are Promoting.
4 - Add Title Meta Data
Now Add the Article Title to your Title /Title Meta Data.
Simply cut and paste the Article Title and Place in the
Title block of the head /head part of your web Page. Also
it is a Good Idea to surrond your Title with h1 /h1 Tags
5- Add Description Meta Tag
Add a Description of Your Article in Description Meta Tag
Just scan the article and somewhere near the top if it's a
well written article you should some a sentence or 2 that
describes the article. Cut and Paste this Sentence and
place them in your Description Meta Tag Block.
6 - Thank The Author
Send a Thank you letter to the Author. Be sure and Let the
+++
Record 1
KClF6: theoretical powder diffraction line list (Cu Kα (weighted mean of Kα1 and Kα2)), based on a structure optimized by DFT (PBE).
Peak positions follow from Bragg's law for the DFT cell and can differ from measured ones.

Principal peaks in the range 2θ = 15–90°, in order of rising 2θ:
index	2theta	I/Imax
1 0 1	19.66	32
0 1 2	22.21	100
1 0 4	30.43	80
0 2 1	38.50	40
2 0 2	39.94	48
2 0 5	49.05	20
1 1 6	49.44	41
2 1 4	57.04	29
2 2 0	68.67	18
0 2 10	75.04	13

Structural model:
```
data_KClF6
_chemical_formula_sum 'K3 Cl3 F18'
_symmetry_space_group_name_H-M 'R -3 m'
_symmetry_Int_Tables_number 166
_symmetry_space_group_name_Hall '-R 3 2"'
_cell_length_a 5.4670
_cell_length_b 5.4670
_cell_length_c 14.9793
_cell_angle_alpha 90.00
_cell_angle_beta 90.00
_cell_angle_gamma 120.00
loop_
_atom_site_label
_atom_site_type_symbol
_atom_site_fract_x
_atom_site_fract_y
_atom_site_fract_z
_atom_site_occupancy
K1 K 0.0000 0.0000 0.0000 1
Cl1 Cl 0.0000 0.0000 0.5000 1
F1 F 0.0215 0.5108 0.0963 1
```

=====

Record 2
Pr2Y2Sb5: theoretical powder diffraction line list (Cu Kα (weighted mean of Kα1 and Kα2)), based on a structure optimized by DFT (PBE).
Peak positions follow from Bragg's law for the DFT cell and can differ from measured ones.

Principal peaks in the range 2θ = 15–90°, in order of rising 2θ:
index	2theta	I/Imax
3 1 2	29.28	75
0 2 2	30.82	39
5 1 1	31.60	58
6 0 0	33.08	100
1 1 3	34.71	62
1 3 1	35.34	58
5 1 2	36.88	19
3 1 3	38.18	18
0 2 4	49.34	23
0 4 4	64.22	25

Structural model:
```
data_Pr2Y2Sb5
_chemical_formula_sum 'Pr8 Y8 Sb20'
_symmetry_space_group_name_H-M 'C m c e'
_symmetry_Int_Tables_number 64
_symmetry_space_group_name_Hall '-C 2ac 2'
_cell_length_a 16.2162
_cell_length_b 8.1152
_cell_length_c 8.2985
_cell_angle_alpha 90.00
_cell_angle_beta 90.00
_cell_angle_gamma 90.00
loop_
_atom_site_label
_atom_site_type_symbol
_atom_site_fract_x
_atom_site_fract_y
_atom_site_fract_z
_atom_site_occupancy
Pr1 Pr 0.1908 0.0000 0.0000 1
Y1 Y 0.0000 0.1580 0.3379 1
Sb1 Sb 0.0000 0.0000 0.0000 1
Sb2 Sb 0.1353 0.1400 0.6409 1
```

=====

Record 3
LiSm3Er3S8: theoretical powder diffraction line list (Cu Kα (weighted mean of Kα1 and Kα2)), based on a structure optimized by DFT (PBE).
Peak positions follow from Bragg's law for the DFT cell and can differ from measured ones.

Principal peaks in the range 2θ = 15–90°, in order of rising 2θ:
index	2theta	I/Imax
0 1 2	16.02	36
1 0 4	22.66	16
1 1 0	22.80	16
2 0 2	27.99	45
0 2 4	32.36	100
2 0 8	46.28	36
2 2 0	46.57	36
4 0 4	57.85	18
2 2 12	76.88	16
2 4 4	77.32	16

Structural model:
```
data_LiSm3Er3S8
_chemical_formula_sum 'Li3 Sm9 Er9 S24'
_symmetry_space_group_name_H-M 'R -3 m'
_symmetry_Int_Tables_number 166
_symmetry_space_group_name_Hall '-R 3 2"'
_cell_length_a 7.8007
_cell_length_b 7.8007
_cell_length_c 19.2796
_cell_angle_alpha 90.00
_cell_angle_beta 90.00
_cell_angle_gamma 120.00
loop_
_atom_site_label
_atom_site_type_symbol
_atom_site_fract_x
_atom_site_fract_y
_atom_site_fract_z
_atom_site_occupancy
+++
Author know where there article is Published. You may even
want to invite the Author to feel free to use one of your
Articles and maybe give him/her a suggestion or 2 of an
article they maybe interested in. If the Author uses one
of your Articles - Guess What you now have a Link Back to
your Web Page.
7 - Blog and Ping
You Do have a Blog if not read an article on how to create
a Blog Table of Contents Don't forget to use Pingomatic to
Ping all the Block Search Engines.
Expert User Tip
If you plan on adding more then 1 Article It is best to
create one Blog Entry for all the Articles and then Ping.
In This Example an Article Compilation List was
created and then the Blog Entry simply Refereed to the
Article Compilation
Once you have your article template set up there is no reason you can't add 5-10 articles in an hour or less. Repeat this process 2 or 3 times a week and drive massive exposure to yourself and whatever you are promoting.
Mike Makler has added over 100,000 Members to his organization. For more Tips and Articles from Mike on how to Start, Promote and Earn Money with an Online Business Visit - http://www.ewguru.com/hbiz/table-of-contents.html

Where?s Your Web Site?
This simple question can take on several different forms, but if you have your own web site, all are equally important. Don't worry, this isn't a sales letter, and it's well worth a read.
Optimal Website Design
Optimal website design is the art of logical navigation.
Free Isnt Always Good - 5 Reasons Why You Need Your Own Website
Often time I've browsed sites and seen the same thing - general rep websites or free hosted sites. Pop ups irritate me from the free sites as does the blatant ads getting in the way of the text, and if you have seen one rep site you literally have seen them all. Boring, unoriginal, and unprofessional.
How To Start Your Own Website
I'm one of those people that always wanted a website, but had no clue as to using the internet. I could check my email and that was about it. I never heard of ISP, FTP or all those other "words".
7 Ways to Gain a Professional Online Reputation
A professional online reputation is essential to the flourishing of any business big or small. Many business owners spend countless hours on the core operations of their business forgetting the importance their website has. Having an up-to-date website with a professional appearance and easy navigation can make or break a lot of potential business deals. Below are 7 ways you can gain a professional online reputation.
Website Imperatives and Solutions
When you take a look at the most visited sites on the internet, what hits you in the face? Change, growth, new content. In a sense, a search engine is the perfect web site. By it's very nature, it grows and changes continuously and moment by moment adds new content. But, most of us are never going to build a Yahoo or a Google. The competition at that level is horrific.
You Cant Just Build A Website And Hope It Works!
Like any area of business your website needs some effort from you if its going to be successful. You'd be foolish to just build any old website and hope it works. Yet this approach, or rather lack of approach, is still widespread on the internet. Businesses still dont seem to understand what the internet can do to benefit them and their customers. They just dont get it.
Newsletter Management Using PHP w/o mySQL for Beginners
Let's begin by setting some limits. If you're like me, you like to keep it simple. All we're doing is collecting email addresses together for our mailing list, so biochemical engineering is out the window. If you're using Thunderbird (or that MS product), you can send nicely formatted newsletters out and retain all of the other awesome features of your email program so there's really no need for databases, logins, or pretty much anything else. We're going to stay far away from anything non-essential.
Learn What 98% of Targeted Visitors Do On Your Website
Getting a Targeted Visitor to a website is a waste of time and money if you've got no idea what 98% of them do when they get there.
The Number 1 Reason Most Websites Fail
Failure, just like success, is measured differently by each and every one of us. What one man treats as success another may view as failure. For the purposes of this article a website that fails is one that fails to attract and convert enough targeted visitors into paying customers.
Increase Hits to Help Increase Your Business
In this day and age most businesses consider having their own website; from informational based to the most advanced and complex e-commerce site. For the large enterprise, this become a vital part of their day to day operation, their web site embeds complex applications that exchanges critical information between their partners and clients. Web services are sometime employed in order to simplify their transactions and easily exchange critical information across their suppliers, clients and partners.
I Want To Be A Freelancer
So you have decided that you want to do freelance work. You have done your homework and have developed your skills in HTML, PHP, CMS, and a slew of other applications. Now you are ready to start your new career. So how do you get started? Without clients your business is non existent. So how exactly do you build your business and find clients. Below are just a few key elements to help you get started.
Ever Wondered What Challenges Other People With Their Web Site?
Have you ever wondered what challenges are faced by other webmasters and owners in the design and promotion of their websites, well I certainly have and so I decided to try and find out.
Streamline your Business Website with a Content Management System
I talk with so many people who have small businesses and would like to have a web presence but don't know the first thing about how to even get started. Some of the reasons I hear are:
Website Content & Usability
Writing for the web is totally different to writing for printed matter. We tend to scan content on the web hunting for the information we're after, as opposed to reading word-for-word. As a result of this, there are certain guidelines you should be sure to follow when writing copy for your website:
My Yahoo Search - Beyond Bookmarks
Yahoo has long offered email, an online calendar, notes, bookmarks, and more through their free My Yahoo service. Now Yahoo has expanded this service even more by adding My Yahoo Personal Search to the mix.
Improve Conversion Rates ? Load Times
Your site is getting traffic, but conversion rates are horrible. Everything seems to be working, so what's wrong? Your site may simply be to slow.
The Power Of CPanel
cPanel is a control panel for your website and allows you to set up and manage your web account through a graphical interface instead of having to use command line. This means that you can make changes to your website without having to learn to use a command line environment. There are a variety of control panels out there, most offering a graphical interface and granting access to email management, FTP, subdomain administration, website statistics, etc. With a control panel, you can add/remove email accounts or view disk usage and statistics for your site by clicking on a shortcut and entering the appropriate information.
How to Maximize the Value of Every Visitor to Your Website
While most marketers are beginning to understand the critical importance of maximizing conversion rates, few are tracking or working to maximize another critical measurement of website effectiveness.
High Quality Website at Low Cost
Although designing a great web site is an important part of developing a successful online business, it is often becomes a problem for newcomers to the internet business.